Strategic fields of action

The topics relevant to the sustainability strategy of Albert Kerbl GmbH were consolidated under strategic fields of action as part of a materiality analysis.

Next to the entry, the page also holds quantum chemistry results:
# 1
This record from the OMol25 dataset describes C45H44F16NO4S3 as an isolated structure. The level of theory is ωB97M-V with the def2-TZVPD basis set.

Each line ends with the Löwdin charge.
CARTESIAN COORDINATES (ANGSTROEM)
1 C -3.70 1.97 4.95  -0.065
2 C -2.57 3.03 5.30  -0.358
3 F -2.58 4.12 4.42  -0.043
4 C -1.17 2.28 5.35  -0.171
5 S -0.38 2.24 3.67  0.632
6 O -1.51 2.07 2.68  -0.396
7 O 0.25 3.58 3.45  -0.375
8 N 0.68 0.93 3.57  -0.361
9 S 1.60 0.99 2.15  0.591
10 O 0.73 1.11 0.93  -0.400
11 O 2.60 2.10 2.11  -0.393
12 C 2.45 -0.65 1.99  -0.223
13 C 1.31 -1.70 1.74  -0.235
14 C 1.75 -3.22 1.91  -0.175
15 C 2.60 -3.76 0.69  -0.073
16 C 2.40 -5.30 0.41  -0.382
17 F 3.58 -5.95 0.07  0.082
18 F 2.09 -5.85 1.67  0.062
19 C 1.18 -5.67 -0.50  -0.388
20 F 1.04 -7.05 -0.50  0.104
21 F 0.05 -5.21 0.14  0.089
22 S 1.14 -5.01 -2.23  0.922
23 F 1.56 -6.51 -2.80  -0.170
24 F -0.44 -5.48 -2.35  -0.166
25 F 0.62 -3.53 -1.78  -0.143
26 F 2.71 -4.58 -2.27  -0.138
27 F 1.03 -4.52 -3.79  -0.159
28 H -3.62 1.61 3.88  0.058
29 H -4.73 2.39 5.09  0.081
30 H -3.51 1.07 5.61  0.070
31 H -2.84 3.44 6.32  0.137
32 H -0.52 2.79 6.11  0.104
33 H -1.39 1.24 5.73  0.088
34 H 3.12 -0.64 1.09  0.108
35 H 2.99 -0.91 2.94  0.106
36 H 0.52 -1.53 2.53  0.101
37 H 0.79 -1.59 0.75  0.115
38 H 0.80 -3.80 2.09  0.095
39 H 2.37 -3.32 2.84  0.119
40 H 3.69 -3.67 1.00  0.140
41 H 2.51 -3.13 -0.23  0.115
42 F 0.00 1.92 -7.02  0.057
43 C 0.02 0.81 -6.25  -0.287
44 C 1.10 -0.05 -6.34  -0.019
45 C 1.12 -1.19 -5.55  -0.074
46 C 0.06 -1.46 -4.68  -0.083
47 C -1.01 -0.58 -4.60  -0.086
48 C -1.03 0.56 -5.39  -0.020
49 H 1.91 0.17 -7.03  0.115
50 H 1.96 -1.88 -5.60  0.105
51 H 0.08 -2.35 -4.07  0.074
52 H -1.84 -0.79 -3.93  0.103
53 H -1.86 1.26 -5.34  0.114
54 F 3.09 5.42 5.38  0.057
55 C 3.71 5.68 4.21  -0.277
56 C 4.77 6.56 4.19  -0.038
57 C 5.42 6.83 2.99  -0.110
58 C 4.97 6.22 1.82  -0.110
59 C 3.90 5.34 1.85  -0.067
60 C 3.26 5.06 3.06  0.003
61 H 5.10 7.03 5.11  0.106
62 H 6.26 7.51 2.96  0.093
63 H 5.47 6.43 0.88  0.087
64 H 3.55 4.87 0.94  0.103
65 H 2.43 4.37 3.10  0.083
66 F -7.40 -3.00 -4.19  0.058
67 C -6.24 -2.67 -4.79  -0.287
68 C -5.76 -1.38 -4.68  -0.024
69 C -4.56 -1.05 -5.29  -0.086
70 C -3.86 -2.00 -6.02  -0.097
71 C -4.36 -3.30 -6.13  -0.079
72 C -5.55 -3.64 -5.50  -0.020
73 H -6.32 -0.64 -4.11  0.114
74 H -4.16 -0.04 -5.20  0.100
75 H -2.92 -1.74 -6.50  0.098
76 H -3.81 -4.04 -6.70  0.104
77 H -5.95 -4.64 -5.57  0.115
78 F -4.98 1.71 2.71  0.027
79 C -4.93 1.18 1.47  -0.265
80 C -3.72 1.17 0.79  0.007
81 C -3.66 0.61 -0.48  -0.065
82 C -4.81 0.09 -1.06  -0.106
83 C -6.02 0.11 -0.37  -0.099
84 C -6.08 0.65 0.91  -0.026
85 H -2.84 1.59 1.26  0.089
86 H -2.72 0.59 -1.02  0.107
87 H -4.77 -0.34 -2.06  0.075
88 H -6.91 -0.30 -0.83  0.096
89 H -7.01 0.67 1.46  0.111
90 F -2.60 -0.93 4.75  0.062
91 C -2.36 -2.13 4.22  -0.276
92 C -2.74 -2.39 2.91  0.003
93 C -2.48 -3.64 2.37  -0.080
94 C -1.86 -4.62 3.13  -0.115
95 C -1.49 -4.35 4.44  -0.091
96 C -1.73 -3.10 4.99  -0.016

The following sustainability goals of the United Nations (UN) were addressed
Pictogram for health and well-being for the "Employees" field of action
Pictogram for affordable and clean energy for the "Internal processes" field of action
Decent Work and Economic Growth Pictogram for the "Management" field of action
Industry, innovation and infrastructure pictogram for the "Data management" field of action
Pictogram for sustainable consumption and production for the "supply chain" field of action
Pictogram for climate protection measures for the "Products" field of action
Pictogram for peace, justice and strong institutions for the field of action "Partnership with Hilfsverein Ukraine".
Pictogram for less inequality for the field of action "cooperation with sheltered workshops

Field of action "Products"

In the strategic field of action "Products", the topics of climate-neutral products, ecological and recyclable materials, product-related service offers and sustainable product development were identified as important.

Current top measures
Kerbl has already implemented many measures in these areas. For example, an internal sustainability project was initiated, which focuses on products, sales and transport packaging under the project name "3R". In this project, the three areas are systematically analyzed for their reduction, reuse and recycling potential to continuously improve the ecological footprint of the product and goods groups offered by Kerbl. A detailed description of sustainable products and packaging can be found here .
Flexigate green Verpackung und Produkt aus recyceltem Material The use of recycled packaging materials has been continuously recorded in the materials management system since this year, thus creating the basis for further expanding the use of secondary raw materials in the packaging sector. 

In addition, the climate impact of various product groups was analyzed on the basis of a generic approach in order to localize the emission drivers in the area of purchased goods and products and to derive further measures for CO₂ reduction. In addition, the data basis for calculating the climate impact of products and packaging material is currently being improved in order to enable future potential analyses at the product level and to incorporate the knowledge gained in the areas of product design and purchasing.

Learn more about Kerbl's  climate strategy .

Field of action "Internal processes"

In the strategic field of action "Internal processes", the topics of energy consumption, sustainable material and raw material purchasing, logistics optimization and conscious handling and sustainable purchasing of labor and operating resources were classified as important.

Current top measures

By building photovoltaic systems, charging stations for e-vehicles or intelligent lighting concepts, Kerbl has initiated and implemented important measures to reduce energy consumption at several locations in 2022.
Luftaufnahme der Firma Kerbl mit Photovoltaikanlage am Standort in Buchbach
In addition, Kerbl conducts regular internal energy audits that focus on energy efficiency at the administration, warehouse and production sites and localise and implement potential for improvement.

Field of action "Supply chain"

In the field of action "supply chain", the topics of ecological and social standards in the supply chain, CO₂-neutral logistics, climate-neutral shipping and ecologically sensible localisation of suppliers were prioritised.

Current top measures

Albert Kerbl GmbH has already made numerous efforts in this area in recent years and has successfully implemented several measures. For example, many of the largest suppliers participate in a programme of the Business Social Compliance Initiative (BSCI), in which suppliers are audited for compliance with ethical standards. Suppliers' participation in the BSCI programme helps to systematically improve social standards in Albert Kerbl GmbH's global value chain.
BSCI Logo für Einhaltung von ethischen Standards innerhalb der weltweiten Wertschöpfungskette
The aim of Albert Kerbl GmbH is to encourage as many long-term suppliers as possible to participate in the BSCI programme in the future and thus successively improve the social and ecological standards in the supply chain. In addition, Albert Kerbl GmbH's purchasing department asks new suppliers for their social and ecological parameters and enters information on REACH compliance in the supplier master data.

Field of action "Employees"

Ein Mann und eine Frau mit dem Jobrad For the field of action "Employees", the topics of financial security, equal rights, training, further education and training, creating sustainability awareness, work-life balance, recruiting, safety and health at work, and low staff turnover were rated as particularly important.

Current top measure

Kerbl provides its employees with a job bike on request and thus promotes the health of its employees, even away from the workplace.
Logo Jobrad
© JobRad,

Field of action "Management"

In the field of action "Management", the topics of sustainable growth, sustainable investments, integrated and sustainable risk management as well as the organisational anchoring of sustainability management in the company were rated as significant.

Field of action "Data management"

Screenshot eines Datenbank Download Links von Kerbl
In "data management", the topics of securing and protecting company data, digitalisation, master data maintenance and the expanded collection and utilisation of product and supplier master data were rated as particularly important.

Current top measures

By opening a DAM portal, customers are provided with digital product information, which should lead to a significant reduction in paper consumption.

Further fields of action

### Molecular data from another source follow
-- begin --
19
Properties=species:S:1:pos:R:3:forces:R:3 method="wB97M-V/def2-TZVPD" charge=0 relative_energy_kcal_mol=24.41 spin_multiplicity=2 orbital_gap_ev="10.90 / 6.89"
C -0.70058 -1.24672 1.23036 -0.29 1.58 0.18
C -2.04165 -1.31150 1.95510 -0.20 -1.75 -1.11
C -0.88709 -1.63061 -0.22964 0.90 -2.60 1.24
O -1.26666 -2.71575 -0.64651 -0.36 1.00 0.05
O -0.30512 -0.79498 -0.99962 0.13 1.04 -1.08
H -0.33309 -0.19181 1.21394 0.19 -0.77 0.31
H 0.00398 -1.94713 1.71637 -0.04 0.52 -0.56
H -2.06262 -0.88720 2.94772 0.27 -0.24 0.28
H -2.23463 -2.41529 1.88836 -0.49 0.99 0.81
H -2.82265 -0.83804 1.37127 -0.13 0.22 -0.09
C 1.79585 2.76809 -0.80235 -0.20 -0.04 0.11
C 2.51103 1.95352 0.27204 -0.09 -0.08 0.48
O 0.50742 2.25936 -1.14545 -0.06 0.31 0.34
H 1.68111 3.80904 -0.49099 -0.24 -0.13 0.06
H 2.37164 2.79220 -1.71234 0.52 0.00 -0.36
H 2.85405 2.54528 1.10455 0.31 0.70 0.12
H 0.49585 1.32115 -0.95260 0.01 -0.19 -0.14
H 3.39241 1.42857 -0.09298 -0.24 -0.28 -0.09
H 1.82758 1.28409 0.80884 0.01 -0.29 -0.54

* * * * *

Density functional theory data (the ωB97M-V functional and the def2-TZVPD basis) for C58H55CsN8O3S2Sb as an isolated structure at a distorted geometry.

Calculated values
Energy relative to the best compared isomer or geometry (same formula, charge and spin) ... 2.7116 eV
Charge ... -1
2S+1 ... 1
HOMO energy ... -3.890 eV
Max |F| ... 4.28 eV/A
Energy ... -3963.6210 hartree
HOMO-LUMO gap ... 5.335 eV

```
128
Properties=species:S:1:pos:R:3:forces:R:3
Cs -1.253 -0.801 0.134 -0.790 -0.082 -0.257
C -1.402 5.634 0.241 -0.734 -0.378 1.672
C -1.892 4.179 -0.057 0.819 0.598 0.367
C -1.600 3.761 -1.445 -0.494 -1.076 -0.954
C -1.786 4.610 -2.532 -0.440 0.020 -0.640
C -1.544 4.115 -3.832 1.104 -2.447 1.307
C -1.077 2.765 -3.931 0.206 1.077 1.142
C -0.848 2.012 -2.746 -0.479 0.706 -1.169
N -1.183 2.469 -1.564 0.005 1.468 0.869
N -0.953 5.785 1.647 -0.414 0.781 -1.214
C -1.715 6.409 2.684 0.137 0.913 0.281
C -2.080 5.422 3.797 -0.137 1.678 1.158
C -3.049 4.441 3.751 -0.106 -0.142 -2.002
C -3.150 3.461 4.697 -0.517 -0.067 0.342
C -2.472 3.689 5.860 0.458 -0.581 1.761
C -1.613 4.788 5.931 -0.760 -0.239 0.841
N -1.419 5.656 4.948 0.537 -0.714 -0.183
C 0.169 5.031 2.103 -0.913 -1.365 0.995
C 1.353 5.114 1.224 2.014 2.716 -0.396
C 1.765 6.408 0.720 -0.703 -0.679 0.335
C 2.992 6.520 0.099 0.015 0.299 0.505
C 3.730 5.381 -0.057 1.022 -2.677 -0.181
C 3.281 4.101 0.409 -0.466 2.849 -0.983
N 2.121 4.045 1.085 0.219 -1.178 -0.520
H -2.215 6.397 0.035 1.002 -0.823 0.242
H -0.527 5.860 -0.355 -0.023 0.049 -0.575
H -2.933 4.068 0.192 -0.640 0.058 0.021
H -1.373 3.416 0.537 0.040 0.465 0.251
H -2.231 5.614 -2.371 0.600 -0.654 -0.164
H -1.567 4.717 -4.710 -0.398 0.418 -0.448
H -0.768 2.296 -4.849 -0.114 0.150 -0.397
H -0.372 1.037 -2.737 -0.293 -0.098 -0.548
H -2.590 6.929 2.276 -0.057 -0.446 -0.118
H -1.088 7.261 3.107 -0.739 -1.103 0.134
H -3.742 4.366 2.929 0.234 0.068 -0.589
H -3.793 2.607 4.513 -0.106 0.104 0.282
H -2.651 3.087 6.787 0.455 0.366 -1.116
-- stop --
### The entry goes on

Field of action "Peace and Justice"

Kerbl supports aid organisation as a partner

After Albert Kerbl GmbH had already supported the association "Zusammen für die Ukraine e.V." several times in the past with aid deliveries, the management has now decided to continue supporting the association as a partner.
In addition to donations in kind to the association, help is also provided, for example, in the form of free packaging materials or, as recently, by covering the printing costs for an association flyer.
Kerbl thus makes a significant contribution to ensuring that people in need, hospitals and aid organisations in Ukraine can be supported effectively and directly without a lot of bureaucracy.
Logo des Vereins Zusammen für die Ukraine e.V.
In addition to this emergency aid, Kerbl also supports the association "Together for Ukraine e.V." in sustainable projects, such as the construction of a makeshift children's library in Chernihiv (the old library was completely destroyed), the partnership of the association with a school in Uzhgorod or the construction of a non-profit bakery in Kamjanetz Podilskyj.

For more information on the association "Together for Ukraine e.V." and its activities, please visit the association's website at 
Together for Ukraine e.V.

Field of action "Inclusion"

Inclusion: Access to education and employment as well as accessibility should lead to better inclusion of people with disabilities.
Logo der Ecksberger Werkstätten
Albert Kerbl GmbH has been working together with the Ecksberger Werkstätten for years. This enables people with disabilities to participate in life in the community and to be integrated into working life.
Among other things, the packaging of some products is done by the employees of the Ecksberger Werkstätten.